As reported by the U.S. News and World Report, February 21, 2008.
Shedding Light on a Cause of Breast Cancer
By Ben Harder
When Edison invented the light bulb, did he accidentally spawn a cancer epidemic? It's certainly starting to look that way. In study after recent study, exposure to artificial light has been linked to certain kinds of tumors, especially those in the breast.
Consider some of the evidence: Blind women have low rates of breast cancer. So do women in underdeveloped countries, where artificial lighting is an uncommon luxury. By contrast, female nurses and other women who frequently work night shifts have high breast cancer rates. The reason, experts believe, is that their schedules expose them to illumination during what should be the darkest hours of their days, and that disrupts the body's production of the cancer-suppressing hormone melatonin. In lab experiments, human breast tumors have been found to grow relatively quickly when fed by the blood of women who have been in a brightly lit room in the middle of the night. When blood is drawn from women who've been sitting in darkness, it's richer in melatonin and less nourishing to the cancer.
Based on those and other observations, a unit of the World Health Organization announced in December that shift work is a "probable human carcinogen." But shift work may be merely the tip of Edison's epidemic.
In fact, any woman whose community is filled with streetlamps and other light sources may face an unnaturally high risk of breast cancer. A new study, slated to appear in the journal Chronobiology International, finds that breast cancer incidence is about 73 percent higher in communities with the greatest amount of artificial light at night than in communities with the least. The researchers assessed different communities' nocturnal light levels by analyzing satellite images of how much illumination escapes into space. (You can see this Washington Post article for details.)
• Between two parts of the entry: calculated crystals:
=====
HfMg | PBE | optimized geometry

abc: 3.032 3.032 11.424
angles: 90.00 90.00 120.00
Fractional positions:
Hf (0.333, 0.667, 0.000)
Hf (0.667, 0.333, 0.500)
Mg (0.333, 0.667, 0.731)
Mg (0.667, 0.333, 0.231)

Properties
Volume ... 22.73 Å³/atom
Total magnetization ... 0.002 μB per cell
E ... -5.484 eV/atom
Crystal system ... hexagonal

NaH5CO4 | PBE | optimized geometry

abc: 8.149 8.149 8.822
angles: 90.00 90.00 127.86
Fractional positions:
Na (0.242, 0.242, 0.000)
Na (0.258, 0.258, 0.500)
Na (0.742, 0.742, 0.500)
Na (0.758, 0.758, 0.000)
H (0.028, 0.292, 0.701)
H (0.085, 0.915, 0.785)
H (0.160, 0.840, 0.909)
H (0.208, 0.472, 0.799)
H (0.230, 0.770, 0.636)
H (0.270, 0.730, 0.136)
H (0.292, 0.028, 0.299)
H (0.340, 0.660, 0.409)
H (0.415, 0.585, 0.285)
H (0.472, 0.208, 0.201)
H (0.528, 0.792, 0.799)
H (0.585, 0.415, 0.715)
H (0.660, 0.340, 0.591)
H (0.708, 0.972, 0.701)
H (0.730, 0.270, 0.864)
H (0.770, 0.230, 0.364)
H (0.792, 0.528, 0.201)
H (0.840, 0.160, 0.091)
H (0.915, 0.085, 0.215)
H (0.972, 0.708, 0.299)
C (0.181, 0.819, 0.540)
C (0.319, 0.681, 0.040)
C (0.681, 0.319, 0.960)
C (0.819, 0.181, 0.460)
O (0.093, 0.907, 0.896)
O (0.097, 0.903, 0.572)
O (0.160, 0.340, 0.750)
O (0.214, 0.786, 0.406)
O (0.286, 0.714, 0.906)
O (0.340, 0.160, 0.250)
O (0.403, 0.597, 0.072)
O (0.407, 0.593, 0.396)
O (0.593, 0.407, 0.604)
O (0.597, 0.403, 0.928)
O (0.660, 0.840, 0.750)
O (0.714, 0.286, 0.094)
O (0.786, 0.214, 0.594)
O (0.840, 0.660, 0.250)
O (0.903, 0.097, 0.428)
O (0.907, 0.093, 0.104)

Properties
Volume ... 10.51 Å³/atom
Total magnetization ... 0.001 μB per cell
E ... -5.439 eV/atom
Crystal system ... orthorhombic

ZnI2 | PBE | optimized geometry

abc: 4.106 4.106 21.399
angles: 90.00 90.00 120.00
Fractional positions:
Zn (0.000, 0.000, 0.000)
Zn (0.333, 0.667, 0.667)
Zn (0.667, 0.333, 0.333)
I (0.000, 0.000, 0.257)
I (0.000, 0.000, 0.743)
I (0.333, 0.667, 0.410)
I (0.333, 0.667, 0.924)
I (0.667, 0.333, 0.076)
I (0.667, 0.333, 0.590)

Properties
Volume ... 34.72 Å³/atom
Total magnetization ... 0.005 μB per cell
E ... -1.914 eV/atom
Crystal system ... trigonal

TiNbN2 | PBE | optimized geometry

abc: 3.065 3.065 15.226
angles: 90.00 90.00 120.00
Fractional positions:
Ti (0.000, 0.000, 0.000)
Ti (0.333, 0.667, 0.667)
Ti (0.667, 0.333, 0.333)
Nb (0.000, 0.000, 0.500)
Nb (0.333, 0.667, 0.167)
Nb (0.667, 0.333, 0.833)
N (0.000, 0.000, 0.256)
N (0.000, 0.000, 0.744)
N (0.333, 0.667, 0.410)
N (0.333, 0.667, 0.923)
N (0.667, 0.333, 0.077)
N (0.667, 0.333, 0.590)

Properties
Volume ... 10.32 Å³/atom
Total magnetization ... 0.000 μB per cell
E ... -9.974 eV/atom
Crystal system ... trigonal

Zr5SiPb3 | PBE | optimized geometry

abc: 8.922 8.922 6.086
angles: 90.00 90.00 120.00
Fractional positions:
Zr (0.000, 0.253, 0.250)
Zr (0.000, 0.747, 0.750)
Zr (0.253, 0.000, 0.250)
Zr (0.253, 0.253, 0.750)
Zr (0.333, 0.667, 0.000)
Zr (0.333, 0.667, 0.500)
Zr (0.667, 0.333, 0.000)
Zr (0.667, 0.333, 0.500)
Zr (0.747, 0.000, 0.750)
Zr (0.747, 0.747, 0.250)
=====
• Back to the entry:
Light pollution seems to have other untoward consequences, including harmful effects on animals like migratory birds and sea turtles. But the apparently carcinogenic effects of light pollution have received—and arguably deserve—the lion's share of scientists' attention. No one has paid more notice to the light-cancer connection than Richard Stevens, the University of Connecticut Health Center epidemiologist who first proposed a possible link more than two decades ago. Stevens collaborated on the new study with four colleagues in Israel, and I asked him to comment on its significance.
He was quick to say that the study falls short of proving cause and effect. But it's consistent, he said, with the hypothesis that light at night accounts for a "substantial fraction of breast cancer."
"Lighting the night is as important an ecological issue for the planet as global warming," he added. "In addition to its effects on all life forms, unnecessary lighting of the night accounts for a lot of fossil fuel consumption and also contributes to global warming."